Amazing Race "My Achievements"



  • TangledThread
    TangledThread Posts: 312 Member
    edited April 2016
    I failed at my posted goals of drinking more water and working on my core muscles. I drink lots of water however I can't seem to hit the challenge goal. I've kept running and have had no interest in adding other exercises.

Inserted here: data records =
'''
MgMn6O10F2 | PBE with a Hubbard U | optimized geometry

Cell lengths 5.1020, 5.7421, 7.5269 Å; angles 81.72, 84.26, 80.47 degrees
Element x y z (fractional)
Mg1 0.0000 0.0000 0.0000
Mn1 0.0202 0.9989 0.4939
Mn2 0.0740 0.3769 0.1846
Mn3 0.5054 0.1579 0.8155
Mn4 0.5132 0.4976 0.4830
Mn5 0.5182 0.8277 0.1717
Mn6 0.9824 0.6221 0.8060
O1 0.1539 0.3177 0.9231
O2 0.1709 0.0215 0.2406
O3 0.1909 0.6831 0.5824
O4 0.3780 0.5370 0.2584
O5 0.3816 0.2139 0.5843
O6 0.6253 0.1152 0.0563
O7 0.6535 0.7906 0.3891
O8 0.8607 0.3218 0.4095
O9 0.8608 0.9679 0.7446
O10 0.8654 0.6665 0.0637
F1 0.3508 0.8224 0.9338
F2 0.6633 0.4873 0.7235

Computed properties:
**Symmetry**: P1, No. 1
**Energy relative to the elements**: -2.10 eV per atom
**V**: 214.5 Å³/cell
**Relative energy among the computed polymorphs**: 58 kJ/mol of formula units

---

Li9Mn2Co5O16 | PBE with a Hubbard U | optimized geometry

Cell lengths 10.2109, 2.9035, 10.3092 Å; angles 90.00, 109.36, 90.00 degrees
Element x y z (fractional)
Li1 0.0000 0.0000 0.0000
Li2 0.0006 0.5000 0.7689
Li3 0.2446 0.5000 0.0084
Li4 0.2560 0.5000 0.5260
Li5 0.4997 0.0000 0.0175
Li6 0.5030 0.0000 0.5208
Li7 0.7406 0.5000 0.0024
Li8 0.7473 0.5000 0.5214
Li9 0.9912 0.0000 0.5295
Mn1 0.2416 0.0000 0.7698
Mn2 0.9986 0.5000 0.2667
Co1 0.2552 0.0000 0.2671
Co2 0.4982 0.5000 0.2662
Co3 0.5034 0.5000 0.7688
Co4 0.7435 0.0000 0.2662
Co5 0.7648 0.0000 0.7571
O1 0.1088 0.0000 0.3765
O2 0.1233 0.5000 0.1575
O3 0.1346 0.0000 0.8830
O4 0.1387 0.5000 0.6553
O5 0.3605 0.5000 0.8761
O6 0.3682 0.5000 0.3858
O7 0.3739 0.0000 0.6575
O8 0.3785 0.0000 0.1509
O9 0.6119 0.0000 0.8821
O10 0.6175 0.0000 0.3814
O11 0.6260 0.5000 0.1483
O12 0.6291 0.5000 0.6556
O13 0.8609 0.5000 0.8805
O14 0.8644 0.0000 0.6417
O15 0.8768 0.5000 0.3763
O16 0.8890 0.0000 0.1572

Computed properties:
**Symmetry**: Pm, No. 6
**Energy relative to the elements**: -1.80 eV per atom
**V**: 288.4 Å³/cell
**Relative energy among the computed polymorphs**: 185 kJ/mol of formula units

----------

The following is a GGA-PBE calculation of a relaxed CaTiSi4O10 crystal, from the Materials Project.

POSCAR file:
```
CaTiSi4O10
1.0
7.484 0.000 0.000
0.000 7.484 0.000
0.000 0.000 15.532
Ca Ti Si O
4 4 16 40
Cartesian
3.742 3.742 7.766
0.000 0.000 7.766
0.000 0.000 0.000
3.742 3.742 0.000
3.742 0.000 9.016
0.000 3.742 14.282
0.000 3.742 6.516
3.742 0.000 1.250
1.274 1.893 10.089
6.211 5.592 10.089
1.893 1.274 13.210
5.635 2.468 10.089
1.849 5.016 10.089
2.468 5.635 13.210
5.016 1.849 13.210
5.592 6.211 13.210
2.468 1.849 5.443
5.016 5.635 5.443
1.849 2.468 2.323
5.592 1.274 5.443
1.893 6.211 5.443
1.274 5.592 2.323
6.211 1.893 2.323
5.635 5.016 2.323
1.862 0.800 9.055
5.623 6.684 9.055
0.800 1.862 14.244
4.543 1.880 9.055
2.942 5.604 9.055
1.880 4.543 14.244
5.604 2.942 14.244
6.684 5.623 14.244
1.880 2.942 6.478
5.604 4.543 6.478
2.942 1.880 1.289
6.684 1.862 6.478
0.800 5.623 6.478
1.862 6.684 1.289
5.623 0.800 1.289
1.873 0.349 5.750
4.543 5.604 1.289
5.615 4.091 9.783
'''

    But, and this is a big one, not only did I blow past my weight loss goal for the challenge I'm now 0.8lbs from my final goal weight. I never stated this as a goal because I have control of what I eat I don't have control of the day it shows coming off on the scale and I didn't want to jinx it. However, weight loss has always been my #1 goal.

    The best part of this challenge is the accountability and having a team to share successes and trying new things. I also loved the nutritional challenges. Because of the omega-3 week I've added nut butters. I had thought nuts too calorie dense to fit in my goal. However, I learned that a BBJ and an apple might be a small meal for me but it keeps me full for hours.
  • dawnsch1995
    dawnsch1995 Posts: 97 Member
    My goal when we started this challenge was to become more active and eat better so I could feel better! I definitely feel so much better no more heartburn and stomach bloat!! I am challenging myself to reach my exercise goals and that has paid off as well! Definitely lost inches & weight and have more energy!! I also love the help and support I get from my team and everyones post help me know we are all in this together!
  • jazzypdx
    jazzypdx Posts: 178 Member
    Nutritionally I have improved the variety of foods I eat and have added more vegetables to my daily intake. My snacking habits have been curbed, and I have replaced hot tamales & cookies with Almonds & celery or aplles with peanut butter and ...cookies occasionally, but oatmeal instead of chocolate chip :smile: and I don't have them on hand at home, late night snacking has been pineapple, mixed berries (w/o whipped cream) or watermelon.
    Goals - I have truly improved my sleep from avg of 4.5 HR for the week to (OMG) 7.3 HR last week. I feel better, not sure if it is the sleep or the exercise or just being part of something that made me smile & think about stuff besides my little corner if the world. My resting heart rate has dropped a full 12 beats (from 85-73) during the course if the challenge. Really love my Fitbit, it gives me these insights and would tip me off when I got home from work, and helped me push myself to go for walks to a- get my steps in and b- get my minutes/miles for my team.
    My second goal, yes!! Actually getting my wardrobe planned, washed & packed for Hawaii. I pulled out my summer clothes last weekend, some size 8s fitting, 10s are good, 14s too baggy!! I took 2 black trash bags of clothes to salvation army. Tomorrow I am going to shop for a new swimsuit, will probably get a 12 but maybe a 10 will be okay. I have trimmed and toned and I am 100% certain it would not have happened without my team mates ( and competitors) motivation and daily inspiration. Thank you all!!
  • christabeltoria
    christabeltoria Posts: 129 Member
    edited April 2016
    My most important achievement in this challenge has been putting more activity into each day. I deliberately park at the far end of the parking lot. I think about ways to add activity to my day. I make myself get out of the chair...if all else fails I do the housework! :) I haven't seen a ton of weight loss yet but I'm a slowstarter. It takes my body a couple of months to get the idea....I know this from gaining and losing the same forty pounds over and over. Maybe this time it will be different. I'm sleeping better, and eating better. I can now turn down something sweet; though I still do like sweets.

### The article is interrupted by crystal structures
'''
DFT (PBE) results for an optimized crystal structure of Y9Ga5S21.

## Properties
The formation energy is -1.846 eV per atom. As for the total DFT energy (no corrections): -6.122 eV/atom. As for the symmetry: R3.

Unit cell a=11.502 b=11.502 c=11.502 alpha=94.23 beta=94.23 gamma=94.23
Fractional coordinates of all 70 atoms:
Y  0.027  0.174  0.799
Y  0.046  0.816  0.668
Y  0.138  0.986  0.362
Y  0.141  0.372  0.520
Y  0.174  0.799  0.027
Y  0.330  0.705  0.470
Y  0.362  0.138  0.986
Y  0.372  0.520  0.141
Y  0.460  0.691  0.837
Y  0.470  0.330  0.705
Y  0.520  0.141  0.372
Y  0.668  0.046  0.816
Y  0.691  0.837  0.460
Y  0.705  0.470  0.330
Y  0.799  0.027  0.174
Y  0.816  0.668  0.046
Y  0.837  0.460  0.691
Y  0.986  0.362  0.138
Ga  0.141  0.476  0.816
Ga  0.247  0.247  0.247
Ga  0.312  0.980  0.640
Ga  0.448  0.448  0.448
Ga  0.476  0.816  0.141
Ga  0.640  0.312  0.980
Ga  0.747  0.747  0.747
Ga  0.816  0.141  0.476
Ga  0.948  0.948  0.948
Ga  0.980  0.640  0.312
S  0.003  0.901  0.151
S  0.037  0.601  0.128
S  0.065  0.555  0.654
S  0.072  0.211  0.320
S  0.101  0.765  0.436
S  0.128  0.037  0.601
S  0.151  0.003  0.901
S  0.211  0.320  0.072
S  0.220  0.309  0.746
S  0.256  0.490  0.353
S  0.267  0.600  0.936
S  0.282  0.793  0.696
S  0.309  0.746  0.220
S  0.320  0.072  0.211
S  0.353  0.256  0.490
S  0.371  0.946  0.457
S  0.386  0.536  0.635
S  0.400  0.888  0.974
S  0.436  0.101  0.765
S  0.457  0.371  0.946
S  0.490  0.353  0.256
S  0.536  0.635  0.386
S  0.555  0.654  0.065
S  0.583  0.831  0.689
S  0.600  0.936  0.267
S  0.601  0.128  0.037
S  0.635  0.386  0.536
S  0.654  0.065  0.555
S  0.689  0.583  0.831
S  0.696  0.282  0.793
S  0.742  0.879  0.975
S  0.746  0.220  0.309
S  0.765  0.436  0.101
S  0.793  0.696  0.282
S  0.831  0.689  0.583
S  0.879  0.975  0.742
S  0.888  0.974  0.400
S  0.901  0.151  0.003
S  0.936  0.267  0.600
S  0.946  0.457  0.371
S  0.974  0.400  0.888
S  0.975  0.742  0.879



DFT (PBE) results for an optimized crystal structure of Zn2Ga2S5.

## Properties
The formation energy is -0.892 eV per atom. As for the total DFT energy (no corrections): -3.864 eV/atom. As for the symmetry: P6_3mc.

Unit cell a=3.743 b=3.743 c=30.387 alpha=90.00 beta=90.00 gamma=120.00
Fractional coordinates of all 18 atoms:
Zn  0.333  0.667  0.000
Zn  0.333  0.667  0.258
Zn  0.667  0.333  0.500
Zn  0.667  0.333  0.758
Ga  0.000  0.000  0.377
Ga  0.000  0.000  0.877
Ga  0.333  0.667  0.651
Ga  0.667  0.333  0.151
S  0.333  0.667  0.122
S  0.333  0.667  0.332
S  0.333  0.667  0.524
S  0.333  0.667  0.727
S  0.333  0.667  0.917
S  0.667  0.333  0.024
S  0.667  0.333  0.227
S  0.667  0.333  0.417
S  0.667  0.333  0.622
S  0.667  0.333  0.832



DFT (PBE) results for an optimized crystal structure of Zn3Ga2S6.

## Properties
The formation energy is -0.765 eV per atom. As for the total DFT energy (no corrections): -3.641 eV/atom. As for the symmetry: C2/c.

Unit cell a=8.798 b=8.798 c=6.880 alpha=98.52 beta=98.52 gamma=111.27
'''
### End of the crystal structures

    That being said, the four pounds I've lost so far make such a difference. And I know that 24 pounds from now I'll feel younger and more vital. For anyone looking for a visualization, think about 20 lbs of butter sitting on the grocery shelf. Better there than on you.
  • sandkp
    sandkp Posts: 669 Member
    I'm away so doing this on the phone and don't have the bells and whistles to cut and paste and such so going to go by memory. Nutrition... I thought I was doing okay before this challenge... my logging showed me how off I was. I have tried to work on making my food better while maintaining my lifestyle. Well... something hit me with a wake up call so let's just say that I have learned alot from the nutrition challenges and plan to execute that in working on my new plan (life throws you a speed bump sometimes to get your attention!)

    My goals included water, nutrition, and sleep. I have so fully incorporated water into my life... no soda, no tea. I drink a small bit of juice and then just water. Don't always get what I want in the day but not due to drinking substitutes! Nutrition.. that logging goal helped with that a bit. Now with needing to get blood pressure back in check, it's even more important and my take away goal for the future. Today was my first low sodium day (and I achieved it at a hotel with all meals eaten out because I track and log!). Sleep.. well let's say it's coming slowly but I know how important I thought it was and with this new hiccup, it is even more important.

    Going forward for next time.. and for life.. nutrition, water and sleep are still goals. They are now more important as I I plan to change my health and my desire to have no worries of meds. In addition, what I thought my goal was going to be (running a 5K) is on hold. Need to get health in check before stressing this mama's heart. So while it was important... not quite as high as it was three weeks ago. Hoping for a really good health check to start this new challenge. If I was not doing this challenge, I would not have been able to have logs to see where and how far I came and to be able to easily show the docs what my life was like and how far I've already changed. BIG THANKS to the leaders of this challenge!
  • SamandaIndia
    SamandaIndia Posts: 1,577 Member
    edited May 2016
    Like @Melodieccurn I am using "paleo" /a very low sugar /low carb with higher fat to give energy. I have been dilligent for 6 months with great results. No more than 20g sugar a day (ie no fruit nor startchy veg nor grains nor cereals). Last challenge I hit a plateau. This challenge I gained (reintroduce carbs as an experiment to test food intollerances and to fit in socially).

**Attached: records of crystals**
No. 1
# Li2CrNiO4, relaxed, DFT GGA+U
# - energy (eV for the cell shown) = -188.43
# - crystal system = monoclinic
# - volume (Å³ per atom) = 8.77
# - calculated density (Mg/m³) = 4.463
data_Li2CrNiO4
_chemical_formula_sum 'Li8 Cr4 Ni4 O16'
_cell_length_a 9.438
_cell_length_b 4.050
_cell_length_c 8.123
_cell_angle_alpha 90.00
_cell_angle_beta 115.35
_cell_angle_gamma 90.00
_symmetry_space_group_name_H-M 'C 1 m 1'
_symmetry_Int_Tables_number 8
_symmetry_space_group_name_Hall 'C -2y'
loop_
_atom_site_label
_atom_site_type_symbol
_atom_site_fract_x
_atom_site_fract_y
_atom_site_fract_z
Li1 Li 0.000 0.000 0.000
Li2 Li 0.001 0.000 0.501
Li3 Li 0.243 0.500 0.123
Li4 Li 0.254 0.500 0.626
Cr1 Cr 0.002 0.500 0.249
Cr2 Cr 0.496 0.000 0.749
Ni1 Ni 0.246 0.000 0.875
Ni2 Ni 0.254 0.000 0.377
O1 O 0.013 0.000 0.757
O2 O 0.028 0.000 0.264
O3 O 0.231 0.500 0.867
O4 O 0.236 0.500 0.369
O5 O 0.264 0.000 0.618
O6 O 0.268 0.000 0.148
O7 O 0.479 0.000 0.489
O8 O 0.482 0.000 0.992



No. 2
# BaSrCaMoO6, relaxed, DFT GGA+U
# - energy (eV for the cell shown) = -270.15
# - crystal system = cubic
# - volume (Å³ per atom) = 14.99
# - calculated density (Mg/m³) = 5.064
data_BaSrCaMoO6
_chemical_formula_sum 'Ba4 Sr4 Ca4 Mo4 O24'
_cell_length_a 8.432
_cell_length_b 8.432
_cell_length_c 8.432
_cell_angle_alpha 90.00
_cell_angle_beta 90.00
_cell_angle_gamma 90.00
_symmetry_space_group_name_H-M 'F -4 3 m'
_symmetry_Int_Tables_number 216
_symmetry_space_group_name_Hall 'F -4 2 3'
loop_
_atom_site_label
_atom_site_type_symbol
_atom_site_fract_x
_atom_site_fract_y
_atom_site_fract_z
Ba1 Ba 0.000 0.000 0.000
Sr1 Sr 0.000 0.000 0.500
Ca1 Ca 0.250 0.250 0.750
Mo1 Mo 0.250 0.250 0.250
O1 O 0.019 0.250 0.250



No. 3
# Na4Ni5P6O22, relaxed, DFT GGA+U
# - energy (eV for the cell shown) = -468.67
# - crystal system = monoclinic
# - volume (Å³ per atom) = 11.82
# - calculated density (Mg/m³) = 3.507
data_Na4Ni5P6O22
_chemical_formula_sum 'Na8 Ni10 P12 O44'
_cell_length_a 12.658
_cell_length_b 6.661
_cell_length_c 10.674
_cell_angle_alpha 90.00
_cell_angle_beta 103.69
_cell_angle_gamma 90.00
_symmetry_space_group_name_H-M 'P 1 21/c 1'
_symmetry_Int_Tables_number 14
_symmetry_space_group_name_Hall '-P 2ybc'
loop_
_atom_site_label
_atom_site_type_symbol
_atom_site_fract_x
_atom_site_fract_y
_atom_site_fract_z
Na1 Na 0.148 0.019 0.136
Na2 Na 0.341 0.590 0.456
Ni1 Ni 0.167 0.008 0.696
Ni2 Ni 0.367 0.240 0.718
Ni3 Ni 0.500 0.000 0.500
P1 P 0.083 0.702 0.909
P2 P 0.245 0.113 0.433
P3 P 0.415 0.736 0.726
O1 O 0.038 0.197 0.655
O2 O 0.109 0.702 0.057
O3 O 0.130 0.009 0.365
O4 O 0.143 0.628 0.360
O5 O 0.231 0.204 0.562
O6 O 0.258 0.225 0.835
O7 O 0.334 0.544 0.953
O8 O 0.340 0.582 0.234
O9 O 0.345 0.548 0.680
O10 O 0.494 0.729 0.134
O11 O 0.499 0.713 0.860



No. 4
# VOF, relaxed, DFT GGA+U
# - energy (eV for the cell shown) = -128.53
# - crystal system = trigonal
# - volume (Å³ per atom) = 12.34
# - calculated density (Mg/m³) = 3.856
data_VOF
_chemical_formula_sum 'V6 O6 F6'
_cell_length_a 3.3349

    My achievements are nutritionally finding a likely source of food intollerance is histammines and that gluen, sugars and alcohol all also significantly affect my mood, body tension, stress, sleep plus health. Accountability wise, still being here despite weighing more than when challenge started. Embarassing but also proud that I can see past that to the celebration of being persistant and keep going to finding the healthiest choices for me.

    Thank you to each of you, especially @Melodieccurn for the grace that supports each of us in our journey together
  • BJerzy
    BJerzy Posts: 1,844 Member
    edited May 2016
    My goals were to find new workouts that I could do while in PT for my knee and to lose 4 pounds to get to my goal. I have been doing strength workouts for my legs and have tried the bike a few times - which for me is great because when I did it the first day I hated it! I've also got just half a pound to go to get to my goal so I'm doing well there, too! I will be there by the end of the challenge.

    Nutritionally, I've really focused on protein intake and portion control. I'm still working on these, but I've gotten so much better thanks to this challenge!
  • jamacianredhair
    jamacianredhair Posts: 230 Member
    I have successfully lost around 5lbs and kept it off! When I started this challenge I was yo-yoing between 159 and 163 very excited that this challenge had me switching things up in a fun way! I am also posting for my husband buddahboy and he has broken through as well and we are both well on our way to losing this last bit of belly.

    We have also made our own goals with coming up with a weekly workout schedule and meal planning to stick to and also have committed to 9 weeks of no alcohol starting today and ending 4th of July weekend. o:)
  • mswanger09
    mswanger09 Posts: 863 Member
    I stuck with trying new things and thanks I the nutritional challenges I have tried to eat more veggies. I didn't hit my weight loss goal for this challenge missed but 1 pound. Oh well! This challenge was great for getting me to push myself more and to get out of my comfort zone.

    Thank you for this challenge and looking forward to the next one!
  • TaraDanielle40
    TaraDanielle40 Posts: 299 Member
    It was hard getting this weeks exercise min in, knowing it was the last week. I didn't make it but I still managed to get min in each day. I'm just glad I didn't give up. I did not reach any of my weight goal, but I now know, through this challenge what I need to do to get it. I'm not a spring chicken anymore, who can eat whatever, whenever. I really need to take into account every bite that goes into my mouth. I hate tracking, but I know it has to be done. Hopefully I can get it done the next challenge.
  • dtplow
    dtplow Posts: 127 Member
    I wanted to reach my goal weight ( am half a pound away right now) and go to bed earlier... Still working on that one! More sleep is a main priority of mine going forward. I am so proud of the increased amount of exercise which this challenge brought to me! Team 6 helped the sometimes impossible become a reality. Thanks for an Amazing challenge :)
  • ka97
    ka97 Posts: 1,984 Member
    I've enjoyed this challenge and being part of such an awesome team! But I haven't met any of my goals. I'm essentially the same weight as when we started. I've still got 5lbs (at least for now) to go. I know what I need to do, but can't figure out why I seem to be lacking the motivation to do it.
    I'm getting going with tri training. I enjoy the running and swimming, but not so much the biking. I've got to get that going again.
  • farmerpam1
    farmerpam1 Posts: 402 Member
    I've partially achieved some of my goals, which were drinking enough water, planning ahead with meals, and adding variety to my workouts. I haven't been too successful with my logging goal. Logging is the first thing that goes when I get crazy busy.
    This challenge has helped me nutritionally by adding variety to my meal choices and planning for leftovers to put in the freezer for busy days. I plan on continuing to try new foods and make extra. Who knew I liked fava bean hummus, (from Egyptian week) or stuffed cabbage leaves? I've lost 5 pounds since starting and am very happy with that, as I've only got 5 more to final goal. These last 10 pounds have been yo-yoing back and forth, so I'm getting there!
  • sukkara
    sukkara Posts: 51 Member
    This challenge has helped to me to exercise more, even when I don't have time, I try to find ways to move. This will make it difficult to come up with excuses for not exercising in the future! I'm definitely drinking more water, which is an achievement. But i haven't lost much weight, part is due to the food choices I've been making lately, I will need to work more on that. Logging is something I still need to stick to. I frequently log the first 2 meals of the day but not continue. Intensity of exercises is also a goal I want to achieve in the near future.
  • lupie777
    lupie777 Posts: 217 Member
    This challenge has furthered my weight loss closer to my goal weight. I lost more than I set my goal at and I'm very proud of that. This was the first time I had a team to be responsible for and I loved it. It made me push myself to be a better role model. To help others stay positive and encouraged. I think I have also tuned up my diet a lot and figured out even more foods my body doesn't like. I have tried new exercises and enjoyed them so much I will add them I when I can. I have been way more conscious of the need for my water intake to replace what I've lost. I'm over all so much stronger than I was in the last challenge. I do know that I wouldn't be anywhere near where I am if I hadn't found @Melodieccurn. Your challenges have truly changed my life and health girl! Thank you just isn't enough! Your and angel!!!!
  • nailpro00
    nailpro00 Posts: 5 Member
    This week was a huge week for me. I have learned during this challenge that I can get back on track. I've learned that exercise is the key along with tracking diligently on my fitness pal. You all have been such a huge support for me and you probably don't even know it. This week I hit my May 10 goal and I am so excited. I feel so good and I look forward to doing just a little bit of exercise that I am doing every day. I haven't committed to much but I have committed.
  • RachaelB11
    RachaelB11 Posts: 24 Member
    This challenge has been great for me. I've been drinking more water and exercising every single day. Which, early on in the year was a big challenge for me. I have also recently given up dairy by the suggestion of others so I'm excited to see where that can take me with my weight loss. I seem to be at a stand still. I have also recently given up alcohol and that has put me a little behind as I attend some classes. I have slowly started sleeping better so I will continue on with that. Thanks for making me stay committed.
  • gawworthington
    gawworthington Posts: 1,131 Member
    Logging food
    Increase water
    Taking the stairs at work
    Eat more veggies

    To change

    Cut sugar
    Increase exercise minutes
    I did accomplish most of the above until I broke my foot. I feel I stalled in the process. I am struggling a lot right now with hunger and stomach pain.